Excerpt
- - -
The following is a theoretical X-ray diffraction stick pattern of Ba2ZnCd. It was derived from the PBE geometry in the Materials Project, using λ = 1.5418 Å (Cu Kα).

Structure:
abc: 5.968 5.968 5.968
angles: 60.00 60.00 60.00
Fractional coordinates of all 4 atoms:
Ba 0.250 0.250 0.250
Ba 0.750 0.750 0.750
Zn 0.000 0.000 0.000
Cd 0.500 0.500 0.500

Principal peaks in the range 2θ from 15° to 90°, in order of rising 2θ:
2θ 29.94, rel. 1000; 2θ 42.86, rel. 185; 2θ 53.16, rel. 387; 2θ 62.22, rel. 120; 2θ 70.57, rel. 164; 2θ 86.23, rel. 196

The following is a theoretical X-ray diffraction stick pattern of Ba2GaAsSe5. It was derived from the PBE geometry in the Materials Project, using λ = 1.5418 Å (Cu Kα).

Structure:
abc: 12.800 9.145 9.389
angles: 90.00 90.00 90.00
Fractional coordinates of all 36 atoms:
Ba 0.174 0.006 0.132
Ba 0.174 0.494 0.132
Ba 0.326 0.506 0.632
Ba 0.326 0.994 0.632
Ba 0.674 0.006 0.368
Ba 0.674 0.494 0.368
Ba 0.826 0.506 0.868
Ba 0.826 0.994 0.868
Ga 0.097 0.750 0.836
Ga 0.403 0.250 0.336
Ga 0.597 0.750 0.664
Ga 0.903 0.250 0.164
As 0.036 0.750 0.495
As 0.464 0.250 0.995
As 0.536 0.750 0.005
As 0.964 0.250 0.505
Se 0.012 0.250 0.958
Se 0.057 0.547 0.670
Se 0.057 0.953 0.670
Se 0.213 0.750 0.398
Se 0.222 0.250 0.401
Se 0.278 0.750 0.901
Se 0.287 0.250 0.898
Se 0.443 0.047 0.170
Se 0.443 0.453 0.170
Se 0.488 0.750 0.458
Se 0.512 0.250 0.542
Se 0.557 0.547 0.830
Se 0.557 0.953 0.830
Se 0.713 0.750 0.102
Se 0.722 0.250 0.099
Se 0.778 0.750 0.599
Se 0.787 0.250 0.602
Se 0.943 0.047 0.330
Se 0.943 0.453 0.330
Se 0.988 0.750 0.042

Principal peaks in the range 2θ from 15° to 90°, in order of rising 2θ:
2θ 27.23, rel. 166; 2θ 28.12, rel. 1000; 2θ 29.50, rel. 429; 2θ 30.19, rel. 323; 2θ 39.40, rel. 295; 2θ 40.84, rel. 145

The following is a theoretical X-ray diffraction stick pattern of PuMgO3. It was derived from the PBE geometry in the Materials Project, using λ = 1.5418 Å (Cu Kα).

Structure:
abc: 3.828 3.828 3.828
angles: 90.00 90.00 90.00
Fractional coordinates of all 5 atoms:
Pu 0.000 0.000 0.000
Mg 0.500 0.500 0.500
O 0.000 0.500 0.500
O 0.500 0.000 0.500
O 0.500 0.500 0.000

Principal peaks in the range 2θ from 15° to 90°, in order of rising 2θ:
2θ 23.24, rel. 726; 2θ 33.10, rel. 1000; 2θ 40.83, rel. 423; 2θ 47.51, rel. 292; 2θ 53.53, rel. 344; 2θ 59.12, rel. 405

The following is a theoretical X-ray diffraction stick pattern of SnH12C6S4N2. It was derived from the PBE geometry in the Materials Project, using λ = 1.5418 Å (Cu Kα).

Structure:
abc: 7.698 7.698 12.444
angles: 101.33 101.33 107.52
Fractional coordinates of all 50 atoms:
Sn 0.023 0.977 0.750
Sn 0.977 0.023 0.250
H 0.168 0.722 0.535
H 0.210 0.505 0.535
H 0.266 0.713 0.139
H 0.274 0.480 0.131
H 0.278 0.832 0.965
H 0.287 0.734 0.361
H 0.296 0.680 0.842
H 0.320 0.704 0.658
H 0.330 0.518 0.361
H 0.480 0.274 0.631
H 0.482 0.670 0.139
H 0.495 0.790 0.965
H 0.505 0.210 0.035
H 0.518 0.330 0.861
H 0.520 0.726 0.369
H 0.670 0.482 0.639
H 0.680 0.296 0.342
H 0.704 0.320 0.158
H 0.713 0.266 0.639
H 0.722 0.168 0.035
H 0.726 0.520 0.869
H 0.734 0.287 0.861
H 0.790 0.495 0.465
H 0.832 0.278 0.465
C 0.175 0.387 0.914
C 0.274 0.660 0.565
C 0.327 0.609 0.105
C 0.340 0.726 0.935
C 0.387 0.175 0.414
C 0.391 0.673 0.395
C 0.609 0.327 0.605
C 0.613 0.825 0.586
C 0.660 0.274 0.065
C 0.673 0.391 0.895
C 0.726 0.340 0.435
C 0.825 0.613 0.086
S 0.100 0.200 0.971
S 0.118 0.340 0.766
S 0.200 0.100 0.471
S 0.340 0.118 0.266
S 0.660 0.882 0.734
S 0.800 0.900 0.529
S 0.882 0.660 0.234
S 0.900 0.800 0.029
N 0.275 0.564 0.981
N 0.436 0.725 0.519
N 0.564 0.275 0.481
N 0.725 0.436 0.019

Principal peaks in the range 2θ from 15° to 90°, in order of rising 2θ:
2θ 16.80, rel. 1000; 2θ 20.83, rel. 211; 2θ 23.87, rel. 701; 2θ 25.65, rel. 316; 2θ 30.46, rel. 220; 2θ 30.70, rel. 252

The following is a theoretical X-ray diffraction stick pattern of Dy2Ga3Fe14. It was derived from the PBE geometry in the Materials Project, using λ = 1.5418 Å (Cu Kα).

Structure:
- - -
Job
The reader should duplicate everything further above exactly.
Written answer
The following is a theoretical X-ray diffraction stick pattern of Ba2ZnCd. It was derived from the PBE geometry in the Materials Project, using λ = 1.5418 Å (Cu Kα).

Structure:
abc: 5.968 5.968 5.968
angles: 60.00 60.00 60.00
Fractional coordinates of all 4 atoms:
Ba 0.250 0.250 0.250
Ba 0.750 0.750 0.750
Zn 0.000 0.000 0.000
Cd 0.500 0.500 0.500

Principal peaks in the range 2θ from 15° to 90°, in order of rising 2θ:
2θ 29.94, rel. 1000; 2θ 42.86, rel. 185; 2θ 53.16, rel. 387; 2θ 62.22, rel. 120; 2θ 70.57, rel. 164; 2θ 86.23, rel. 196

The following is a theoretical X-ray diffraction stick pattern of Ba2GaAsSe5. It was derived from the PBE geometry in the Materials Project, using λ = 1.5418 Å (Cu Kα).

Structure:
abc: 12.800 9.145 9.389
angles: 90.00 90.00 90.00
Fractional coordinates of all 36 atoms:
Ba 0.174 0.006 0.132
Ba 0.174 0.494 0.132
Ba 0.326 0.506 0.632
Ba 0.326 0.994 0.632
Ba 0.674 0.006 0.368
Ba 0.674 0.494 0.368
Ba 0.826 0.506 0.868
Ba 0.826 0.994 0.868
Ga 0.097 0.750 0.836
Ga 0.403 0.250 0.336
Ga 0.597 0.750 0.664
Ga 0.903 0.250 0.164
As 0.036 0.750 0.495
As 0.464 0.250 0.995
As 0.536 0.750 0.005
As 0.964 0.250 0.505
Se 0.012 0.250 0.958
Se 0.057 0.547 0.670
Se 0.057 0.953 0.670
Se 0.213 0.750 0.398
Se 0.222 0.250 0.401
Se 0.278 0.750 0.901
Se 0.287 0.250 0.898
Se 0.443 0.047 0.170
Se 0.443 0.453 0.170
Se 0.488 0.750 0.458
Se 0.512 0.250 0.542
Se 0.557 0.547 0.830
Se 0.557 0.953 0.830
Se 0.713 0.750 0.102
Se 0.722 0.250 0.099
Se 0.778 0.750 0.599
Se 0.787 0.250 0.602
Se 0.943 0.047 0.330
Se 0.943 0.453 0.330
Se 0.988 0.750 0.042

Principal peaks in the range 2θ from 15° to 90°, in order of rising 2θ:
2θ 27.23, rel. 166; 2θ 28.12, rel. 1000; 2θ 29.50, rel. 429; 2θ 30.19, rel. 323; 2θ 39.40, rel. 295; 2θ 40.84, rel. 145

The following is a theoretical X-ray diffraction stick pattern of PuMgO3. It was derived from the PBE geometry in the Materials Project, using λ = 1.5418 Å (Cu Kα).

Structure:
abc: 3.828 3.828 3.828
angles: 90.00 90.00 90.00
Fractional coordinates of all 5 atoms:
Pu 0.000 0.000 0.000
Mg 0.500 0.500 0.500
O 0.000 0.500 0.500
O 0.500 0.000 0.500
O 0.500 0.500 0.000

Principal peaks in the range 2θ from 15° to 90°, in order of rising 2θ:
2θ 23.24, rel. 726; 2θ 33.10, rel. 1000; 2θ 40.83, rel. 423; 2θ 47.51, rel. 292; 2θ 53.53, rel. 344; 2θ 59.12, rel. 405

The following is a theoretical X-ray diffraction stick pattern of SnH12C6S4N2. It was derived from the PBE geometry in the Materials Project, using λ = 1.5418 Å (Cu Kα).

Structure:
abc: 7.698 7.698 12.444
angles: 101.33 101.33 107.52
Fractional coordinates of all 50 atoms:
Sn 0.023 0.977 0.750
Sn 0.977 0.023 0.250
H 0.168 0.722 0.535
H 0.210 0.505 0.535
H 0.266 0.713 0.139
H 0.274 0.480 0.131
H 0.278 0.832 0.965
H 0.287 0.734 0.361
H 0.296 0.680 0.842
H 0.320 0.704 0.658
H 0.330 0.518 0.361
H 0.480 0.274 0.631
H 0.482 0.670 0.139
H 0.495 0.790 0.965
H 0.505 0.210 0.035
H 0.518 0.330 0.861
H 0.520 0.726 0.369
H 0.670 0.482 0.639
H 0.680 0.296 0.342
H 0.704 0.320 0.158
H 0.713 0.266 0.639
H 0.722 0.168 0.035
H 0.726 0.520 0.869
H 0.734 0.287 0.861
H 0.790 0.495 0.465
H 0.832 0.278 0.465
C 0.175 0.387 0.914
C 0.274 0.660 0.565
C 0.327 0.609 0.105
C 0.340 0.726 0.935
C 0.387 0.175 0.414
C 0.391 0.673 0.395
C 0.609 0.327 0.605
C 0.613 0.825 0.586
C 0.660 0.274 0.065
C 0.673 0.391 0.895
C 0.726 0.340 0.435
C 0.825 0.613 0.086
S 0.100 0.200 0.971
S 0.118 0.340 0.766
S 0.200 0.100 0.471
S 0.340 0.118 0.266
S 0.660 0.882 0.734
S 0.800 0.900 0.529
S 0.882 0.660 0.234
S 0.900 0.800 0.029
N 0.275 0.564 0.981
N 0.436 0.725 0.519
N 0.564 0.275 0.481
N 0.725 0.436 0.019

Principal peaks in the range 2θ from 15° to 90°, in order of rising 2θ:
2θ 16.80, rel. 1000; 2θ 20.83, rel. 211; 2θ 23.87, rel. 701; 2θ 25.65, rel. 316; 2θ 30.46, rel. 220; 2θ 30.70, rel. 252

The following is a theoretical X-ray diffraction stick pattern of Dy2Ga3Fe14. It was derived from the PBE geometry in the Materials Project, using λ = 1.5418 Å (Cu Kα).

Structure: